问题 问答题



These records of crystals were left in the entry by mistake:
~~~
(1)
VASP calculation (GGA-PBE) on a geometry-optimized La3Nd2Sm2 structure.

Geometry as CIF:
```
data_La3Nd2Sm2
_space_group_name_H-M_alt 'P 1 2/m 1'
_space_group_IT_number 10
_cell_length_a 5.824
_cell_length_b 3.483
_cell_length_c 12.513
_cell_angle_alpha 90.00
_cell_angle_beta 103.26
_cell_angle_gamma 90.00
loop_
_space_group_symop_operation_xyz
'x,y,z'
'-x,-y,-z'
'-x,y,-z'
'x,-y,z'
loop_
_atom_site_label
_atom_site_fract_x
_atom_site_fract_y
_atom_site_fract_z
La1 0.000 0.000 0.000
La2 0.280 0.000 0.567
Nd1 0.139 0.500 0.279
Sm1 0.427 0.000 0.851
```

Calculated values
**Energy relative to the lowest polymorph listed for this composition**: 100.1 meV/atom
**ΔH_f (0 K)**: 0.119 eV per atom

=====

(2)
VASP calculation (GGA-PBE) on a geometry-optimized PmPrNd4Er2 structure.

Geometry as CIF:
```
data_PmPrNd4Er2
_space_group_name_H-M_alt 'P 1 2/m 1'
_space_group_IT_number 10
_cell_length_a 6.286
_cell_length_b 3.649
_cell_length_c 12.049
_cell_angle_alpha 90.00
_cell_angle_beta 100.11
_cell_angle_gamma 90.00
loop_
_space_group_symop_operation_xyz
'x,y,z'
'-x,-y,-z'
'-x,y,-z'
'x,-y,z'
loop_
_atom_site_label
_atom_site_fract_x
_atom_site_fract_y
_atom_site_fract_z
Pm1 0.000 0.000 0.000
Pr1 0.000 0.500 0.500
Nd1 0.251 0.500 0.251
Nd2 0.253 0.000 0.753
Er1 0.500 0.000 0.500
Er2 0.500 0.500 0.000
```

Calculated values
**ΔH_f (0 K)**: 0.016 eV per atom

=====

(3)
VASP calculation (GGA-PBE) on a geometry-optimized TlIr2O structure.

Geometry as CIF:
```
data_TlIr2O
_space_group_name_H-M_alt 'I -4 2 d'
_space_group_IT_number 122
_space_group_name_Hall 'I -4 2bw'
_cell_length_a 4.806
_cell_length_b 4.806
_cell_length_c 13.057
_cell_angle_alpha 90.00
_cell_angle_beta 90.00
_cell_angle_gamma 90.00
loop_
_atom_site_label
_atom_site_fract_x
_atom_site_fract_y
_atom_site_fract_z
Tl1 0.000 0.000 0.000
Ir1 0.076 0.250 0.625
O1 0.000 0.000 0.500
```

Calculated values
**Energy relative to the lowest polymorph listed for this composition**: 0.0 meV/atom
**Raw formation energy**: 334 meV per atom

=====

(4)
VASP calculation (GGA-PBE) on a geometry-optimized Tb2TmHg5 structure.

Geometry as CIF:
```
data_Tb2TmHg5
_space_group_name_H-M_alt 'I 4/m m m'
_space_group_IT_number 139
_space_group_name_Hall '-I 4 2'
_cell_length_a 5.193
_cell_length_b 5.193
_cell_length_c 14.609
_cell_angle_alpha 90.00
_cell_angle_beta 90.00
_cell_angle_gamma 90.00
loop_
_atom_site_label
_atom_site_fract_x
_atom_site_fract_y
_atom_site_fract_z
Tb1 0.000 0.000 0.237
Tm1 0.000 0.000 0.500
Hg1 0.000 0.000 0.000
Hg2 0.000 0.500 0.122
```

Calculated values
**ΔH_f (0 K)**: -0.405 eV per atom

=====

(5)
VASP calculation (GGA-PBE) on a geometry-optimized K2LiF4 structure.

Geometry as CIF:
```
data_K2LiF4
_space_group_name_H-M_alt 'I 4/m m m'
_space_group_IT_number 139
_space_group_name_Hall '-I 4 2'
_cell_length_a 3.978
_cell_length_b 3.978
_cell_length_c 13.593
_cell_angle_alpha 90.00
_cell_angle_beta 90.00
_cell_angle_gamma 90.00
loop_
_atom_site_label
_atom_site_fract_x
~~~


解析:作答A: 一是建立公正的制度。解决教育不公平问题,首先要建立公正的教育制度,为了确保教育公平,必须建立公、私领域界限分明的公正的教育制度。 二是转变观念,建立教育机会均等的新教育体系。转变教育观念是深化教育改革、加快教育发展的前提。要促进教育公平,就要在观念上、体制上改革。根据经济和社会发展的实际需求,结合城乡建设规划,制定优惠政策和相应机制,加大对落后地区和弱势群体的教育支持,大力推进义务教育的均衡化建设。 三是加大教育投资力度。从根本上解决教育不公,就要加大对教育的投资。为满足广大民众的需求,应努力增加优质教育资源的供给,并将教育置于适度超前发展的地位,以法律法规形式确定教育投入的总量和比例。 四是进一步完善办学方针和政策。要真正实现教育均衡发展,必须完善致力于给所有人提供受教育的机会,调整义务教育阶段的学校布局,制定长效优惠政策,努力实现义务教育的均衡化。 [评析] 本答卷最大的问题是有些对策不可行。 作答B: 第一,全面贯彻党的教育方针,大力实施科教兴国战略和人才强国战略,全面实施素质教育,深化教育改革,提高教育质量,建设现代国民教育体系和终身教育体系,保障人民享有接受良好教育的机会。 第二,坚持公共教育资源向农村、中西部地区、贫困地区、边疆地区、民族地区倾斜,逐步缩小城乡、区域教育发展差距,推动公共教育协调发展。加强农村教师队伍建设,逐步提高农村中小学公用经费的保障水平。城市教育经费附加应优先用于薄弱学校改造,切实改善薄弱学校的办学条件。 第三,健全教育资助制度和助学体系,推进优质教育资源公平配置。完善高等教育和高中阶段国家助学金、奖学金制度,积极推行学生贷款制度,建立各种形式的奖学金制度,实施勤工助学制度,开展特殊困难补助,实行学费减、免制度,鼓励社会各界捐资助学。加大对优质教育资源分配的宏观调节力度,逐步缩小学校之间办学条件的差距。加强教师资源的统筹管理和合理配置,促进师资力量的均衡发展。加强对高考、中考加分的督察,完善相关政策。 [评析] 本答卷有针对性,论述较全面,是一份不错的答卷。


Sonoma County, California is famous for its natural beauty. The area is also known for its fruits, vegetables, eggs, and seafood. When I first moved to the area years ago, I had no idea I would be living in such a rich area!

After the summer, local festivals practically celebrate the richness of the county every weekend. From Egg Days, Tomato Festival to Seafood Festival, Sonoma County has something for everyone. An event held every year is one of the most special in the area, which celebrates the harvest(收获) of tomatoes, showing over 170 kinds of this tasty fruit. Cooks prepare the most favorite tomato-inspired dishes. You can enjoy all kinds of food while listening to live music, and taste the world famous Kendall Jackson wine.

Another great feature of this event is the opportunity to take part in the yearly competition with your own tomatoes. Tomatoes are judged (判断) on looks, taste, and weight and winners will be awarded (奖励). If you’re planning on visiting and want to attend this event, get your ticket early as it sells out quickly.

This year, to celebrate Tomato Festival, I decided to plant a few tomatoes in a wine barrel (桶) that had kept a lemon tree before. The tree, after about 6 years, finally did not produce fruits anymore, so I changed to plant 3 tomato plants instead. The three wine barrel plants stand over six feet tall and that’s above the top of the barrel! They have lots of flowers and some have started to produce fruits. As usual, harvest may be late this year, but the quality of my tomatoes will be excellent. I believe I’ll realize my dream of being the best tomato gardener.

小题1:We can know from the first two paragraphs that       .

A.the author didn’t live there long

B.Sonoma County lies by the sea

C.people there like drinking wine

D.there are celebrations every day小题2:The passage mainly tells us something about       .

A.Egg Days

B.Seafood Festival

C.Tomato Festival

D.Vegetable Days小题3:If you are the best tomato gardener you will       .

A.be given prizes as a winner

B.eat tomato dishes for free

C.be respected by the local people

D.drink Kendall Jackson wine free
